
Friday, September 19, 2014

The Dreary Pursuit of Pleasure and the Joyful Pursuit of Truth

I've been reading Volume 2 of Chesterton's collected works, which includes The Everlasting Man and his biographies of Saints Francis and Thomas.

Chesterton, along with C.S. Lewis, is of course one of the more enduringly popular Christian apologists. Back in 2007 we devoted a long-forgotten series of posts to his Orthodoxy (1908), which was actually written prior to his being received into the Church. The Everlasting Man (1925) is a post-conversion meditation on some of the same themes.

I find that Chesterton's style of writing takes some getting used to. He is definitely not the most organized thinker, let alone systematic, nor is he concise.

The word "sprawling" comes to mind. Undisciplined. At times we see a kind of back-and-forth between insipid intellectual laziness and inspired poetic energy that sends sparks flying from the page. It almost reads as if it were dictated during a manic episode and then not edited.

A typical paragraph fills a whole page, and he throws in all sorts of then-contemporary references that make no sense to us now, often as targets of good-natured opprobrium. He easily veers into irrelevant tangents, nor can he resist the most formulaic wordplay and cringe-making puns. Furthermore, being that he is essentially a journalist, he has no particular qualifications to bloviate on matters that are best left to highly trained philosophers, theologians, scientists, and metaphysicians.

In short, this man is a Raccoon!

I immediately thought of him this morning when reading this awful story about some goofy kids in Iran being whipped and imprisoned for being goofy kids and having fun. Can you imagine?

No, you cannot. Why? Because you have been Christianized in a civilization that has been slowly leavened by Christian joy for the past two millennia. Indeed, the joylessness of the mullahs resembles nothing so much as the dreadful joylessness of the spiritual gulag of leftism. Neither permits real joy. Where the left differs from Islam is that it not only permits but encourages the joyless pursuit of pleasure, i.e., the daily grind of the hedonic treadmill.

........
Record 1
Structure and computed X-ray diffraction stick pattern of TaSe2 (a crystal structure in the Materials Project, relaxed with PBE; Cu Kα (λ = 1.5418 Å)).
Neutral-atom scattering factors, no anomalous dispersion.

Structural model:
a b c (Å): 3.5029 3.5029 21.5664
angles (deg): 90.00 90.00 120.00
Atoms (fractional coordinates):
Ta (0.0000, 0.0000, 0.0000)
Ta (0.3333, 0.6667, 0.6667)
Ta (0.6667, 0.3333, 0.3333)
Se (0.0000, 0.0000, 0.2566)
Se (0.0000, 0.0000, 0.7434)
Se (0.3333, 0.6667, 0.4101)
Se (0.3333, 0.6667, 0.9232)
Se (0.6667, 0.3333, 0.0768)
Se (0.6667, 0.3333, 0.5899)

Main lines, low angle first (2θ from 10° to 90°):
| hkl | 2θ/deg | I/Imax |
| --- | --- | --- |
| 0 0 3 | 12.3 | 100 |
| 1 0 1 | 29.7 | 29 |
| 1 0 4 | 33.9 | 78 |
| 0 1 5 | 36.2 | 12 |
| 1 0 7 | 41.8 | 20 |
| 0 1 8 | 45.0 | 34 |
| 1 1 0 | 52.2 | 23 |
| 1 1 3 | 53.9 | 15 |
| 0 2 4 | 63.7 | 13 |
| 1 1 12 | 75.8 | 14 |

=====

Record 2
Structure and computed X-ray diffraction stick pattern of Ta2Se (a crystal structure in the Materials Project, relaxed with PBE; Cu Kα (λ = 1.5418 Å)).
Neutral-atom scattering factors, no anomalous dispersion.

Structural model:
a b c (Å): 3.4043 3.4043 10.3380
angles (deg): 90.00 90.00 90.00
Atoms (fractional coordinates):
Ta (0.2500, 0.2500, 0.0731)
Ta (0.2500, 0.2500, 0.7696)
Ta (0.7500, 0.7500, 0.2304)
Ta (0.7500, 0.7500, 0.9269)
Se (0.2500, 0.2500, 0.3493)
Se (0.7500, 0.7500, 0.6507)

Main lines, low angle first (2θ from 10° to 90°):
| hkl | 2θ/deg | I/Imax |
| --- | --- | --- |
| 0 0 2 | 17.2 | 10 |
| 1 0 3 | 37.1 | 100 |
| 1 1 0 | 37.4 | 70 |
| 1 1 1 | 38.4 | 13 |
| 1 0 4 | 44.0 | 43 |
| 2 0 0 | 53.9 | 25 |
| 2 1 3 | 67.2 | 36 |
| 2 1 4 | 72.0 | 20 |
| 1 1 7 | 75.5 | 14 |
| 2 0 7 | 87.4 | 10 |

----------

[1]
For Lu2MgS4, a DFT-relaxed cell (PBE, the Materials Project) gives the calculated PXRD pattern in this record (Cu Kα (λ = 1.5418 Å)).
Lines closer than 0.1° are merged.

```
data_Lu2MgS4
_chemical_formula_sum 'Lu16 Mg8 S32'
_cell_length_a 12.461
_cell_length_b 7.429
_cell_length_c 12.676
_cell_angle_alpha 90.00
_cell_angle_beta 90.00
_cell_angle_gamma 90.00
_space_group_name_H-M_alt 'P c a 21'
_space_group_IT_number 29
loop_
_space_group_symop_operation_xyz
'x,y,z'
'-x,-y,z+1/2'
'-x+1/2,y,z+1/2'
'x+1/2,-y,z'
loop_
_atom_site_label
_atom_site_fract_x
_atom_site_fract_y
_atom_site_fract_z
Lu1 0.109 0.117 0.000
Lu2 0.127 0.618 0.640
Lu3 0.134 0.370 0.305
Lu4 0.134 0.870 0.304
Mg1 0.110 0.620 0.003
Mg2 0.126 0.122 0.636
S1 0.014 0.124 0.190
S2 0.021 0.624 0.185
S3 0.034 0.624 0.445
S4 0.041 0.124 0.449
S5 0.213 0.120 0.819
S6 0.214 0.620 0.830
S7 0.232 0.367 0.091
S8 0.232 0.870 0.090
```

Peak list (10 most intense, 2θ = 10–80°, low angle first)
d_spacing	Rel. int.	index
4.468	30.2	2 1 1
3.496	100.0	2 0 3
3.427	33.2	1 2 1
3.104	31.2	1 2 2
2.705	62.1	3 2 1
2.537	52.4	3 2 2
2.065	33.1	1 2 5
1.967	25.1	5 2 2
1.864	27.2	6 0 3
1.858	24.8	0 4 0

=====

[2]
........

Also, the left won't whip you (yet) for being politically incorrect, just ruin your reputation and career: "Authorities arrested the group for contravening Iran’s strict vulgarity laws, which prohibit public displays of dancing.... The Islamic Republic condemned the video as a 'vulgar clip which hurt public chastity,'" and "the whole group was told they would receive 91 lashes each."

I checked out the video, and it is interesting how their dancing is so charmingly awkward and stiff -- as if they have just been incarnated and are getting used to having bodies. It reminds me of a story I read about 15 years ago, about special classes in Japan where they teach people how to smile.

Now, the music to which they are dancing is African American, and such music could only have arisen in America. The song is quite overtly retro, and sounds like an unreleased Curtis Mayfield tune from the early '70s (Prof. Wiki agrees), back when black music was still joyously liberating instead of angry, repulsive, and animalistic.

The reason why their music was joyous was because it was again leavened with Christian joy. After all, a hundred years ago blacks had much more reason to be miserable than they do today, and yet, that is when gospel music emerged and thrived. You'd think they would have been be as morose as the mullahs, but gospel is the very sound of joy, and virtually all the classic soul singers of the 1960s and '70s were trained in the church (not to mention all of the early fathers of rock, e.g., Elvis, Jerry Lee, Johnny Cash; rock only starts becoming palpably dark in the late 1960s, after being hijacked as the primary means of expression for the cultural left).

After all, Christianity (we're going to leave Judaism to the side, because it is a special case) is quite literally the original liberalism -- liberality of mind, of heart, and of body. This is precisely what set it apart in the ancient world: what in the name of Zeus are these people so damn happy about?

Now, this is not to say that the history of Christianity doesn't reveal the gradual encrustation and suppression of this primordial joy -- after all, we're talking about humans here -- but the joy always breaks through and returns, because that is what Christianity is, essentially. Good news, right? Few writers more effectively convey the sober silliness of this truth than Chesterton.

St. Thomas was, for example, "one of the great liberators of the human intellect." This cannot be emphasized enough, because virtually all the competing philosophies of modernity are enslaving, not liberating. Starting with Descartes and Kant on down, most modern philosophies condemn us to a prison of neurology, or linguistics, or economics, or race, or power, or the unconscious, or what have you. We descend from "the truth sets you free" to "there is no truth, and you're not free to discover it anyway."

Thomas says NO: that you are -- at least potentially -- liberated into the real world, which is both beautiful and intelligible, the very ladder with which we may reascend to the Creator. He brings the good intellectual news that "the senses [are] the windows of the soul and that the reason [has] a divine right to feed upon facts..." It is Thomas who teaches "that Reason can be trusted," whereas "it was the very life of Lutheran teaching that Reason is utterly untrustworthy."

Thus we see a hidden and unappreciated link between this latter tradition and any other modern or postmodern philosophy which denies man the intrinsic right to know What the Hell is Basically Going On. Not the details per se, but just the possibility.

As we have rhetorically asked in the past, why on earth are the people who so denigrate humans called humanists? Thomas and his ilk are the ultimate humanists, in that they insist "on the immense importance of the human being in the theological scheme of things." And when we say "human being," we again mean in all dimensions, body, soul, and intellect. You might say that the body is entitled to joy for the same reason the intellect is entitled to truth and the soul to beauty. God did not create us to starve in a prison of matter or a desert of quantity.

Indeed, "a Christian means a man who believes that deity or sanctity has attached to matter or entered the world of the senses." Thus, the Christian Raccoon is literally the most materialistic of all, just as he is the most humanistic. If Christ is "the miraculous medium between heaven and earth," then matter is infused with the highest principle. Every good scientist knows this, and yet, places an arbitrary limit on his own mind, or sets up a roadblock at the outskirts of logic.

Chesterton's pal Belloc says much the same thing, that "delight in existence itself" is "the highest mark of sanity and and reality." The ephemeral is always bisected by the permanent, and our task is to recognize this perpetual crossroads and know that I AM. It's why we call it The Vertical Church of What's Happening Now.


  1. Re. the Iranian kids, on the (sort of) positive side, I read yesterday that their sentences have been suspended, which in Iran means they won't be punished for this, provided that they refrain from repeating their "crimes" for three years. If it happens again, they get the current sentence plus whatever penalty applies for the future infraction. In the world of Muslim justice, these hooligans didn't even get a slap on the wrist. But they damn well better not be happy in public again.

  2. I guess they'll have to check in with their parole officers ever month or so to show they aren't relapsing into joy.

  3. "Few writers more effectively convey the sober silliness of this truth than Chesterton."

    I've find Meister Eckster positively giddy at times.
    But I haven't read more than the here and there quotes of Chesterton.

  4. Speaking of St Francis, did you know that Mickey Rourke the Younger played him in this film Francesco.
    The whole thing is on the tube.
    He gets silly wit it.

  5. Re. the title, in amongst my assigned reading for last night was this line about Moses (Hebrews 11:24-26):

    "24 By faith Moses, when he became of age, refused to be called the son of Pharaoh’s daughter, 25 choosing rather to suffer affliction with the people of God than to enjoy the passing pleasures of sin, 26 esteeming the reproach of Christ greater riches than the treasures in Egypt; for he looked to the reward."

  6. Chesterton was a find for me during graduate school in a place hostile to everything Chesterton stood for, except beer. I'd read his columns in the Illustrated London News in the stacks of the library, taking breaks from my studies, and feeling like here, at least, was one sane person I could talk to. His irrepressible jousting with G. B. Shaw and H. G. Wells was a beautiful thing. The book on Francis is radiant.

  7. ...he throws in all sorts of then-contemporary references that make no sense to us now ...

    Larry King?

  8. ... rock only starts becoming palpably dark in the late 1960s, after being hijacked as the primary means of expression for the cultural left ...

    I had Sgt. Pepper, and maybe another one or two, but there's a definite divide in my appreciation of the Beatles. Early on, they seemed to be having a lot more fun than they were later.

  9. Yes. There is no doubt that 1968 is the rubicon. There is an infinite distance between the psychedelic joy of Revolver, Sgt. Pepper, and Magical Mystery Tour, and what came later.

These materials data were left in the article by mistake:
The following is a calculated powder X-ray diffraction pattern of La4Ni3O8. It was derived from the PBE+U geometry in Alexandria, using Cu Kα X-rays.
Intensities are scaled so that the largest is 100.

Crystal structure
```
15
Lattice="-2.0004 2.0004 13.0060 2.0004 -2.0004 13.0060 2.0004 2.0004 -13.0060" Properties=species:S:1:pos:R:3 pbc="T T T"
La 0.0000 0.0000 1.7203
La 0.0000 0.0000 5.2313
La 0.0000 0.0000 20.7808
La 0.0000 0.0000 24.2918
Ni 0.0000 0.0000 9.7514
Ni 0.0000 0.0000 13.0060
Ni 0.0000 0.0000 16.2607
O 2.0004 0.0000 0.0000
O 2.0004 0.0000 3.2592
O 2.0004 0.0000 6.5030
O 2.0004 0.0000 9.7469
O 0.0000 2.0004 0.0000
O 0.0000 2.0004 3.2592
O 0.0000 2.0004 6.5030
O 0.0000 2.0004 9.7469
```

Largest 10 diffraction maxima, in order of falling intensity, 2θ = 15–90°:
2theta  I (rel.)
32.90  100
31.63  48
57.14  40
45.33  36
42.35  20
22.48  19
38.42  12
66.05  11
28.14  10
75.08  9

* * * * *

For Li2Fe3SnO8, a structure optimized by DFT (PBE+U) gives the calculated PXRD pattern in this record (Cu Kα (λ = 1.5418 Å)).
Neutral-atom scattering factors, no anomalous dispersion.

Crystal structure
```
Li2Fe3SnO8
1.0
3.0095 1.7375 4.8260
-3.0095 1.7375 4.8260
0.0000 -3.4750 4.8260
Li Fe Sn O
2 3 1 8
Cartesian
0.0000 0.0000 0.0000
0.0000 0.0000 5.4972
0.0000 -1.7943 7.9977
-1.5539 0.8971 7.9977
1.5539 0.8971 7.9977
0.0000 0.0000 11.2010
0.0000 -1.5935 4.1339
-1.3800 0.7967 4.1339
0.0000 0.0000 1.9651
-1.3471 -0.7778 6.9187
1.3800 0.7967 4.1339
1.3471 -0.7778 6.9187
0.0000 1.5555 6.9187
0.0000 0.0000 9.1867
```

Peak list (8 most intense, 10 to 90 degrees two-theta, sorted by position)
| 2θ (°) | intensity |
| --- | --- |
| 18.38 | 66 |
| 21.00 | 81 |
| 30.06 | 65 |
| 34.98 | 100 |
| 35.14 | 77 |
| 35.46 | 34 |
| 61.64 | 41 |
| 62.48 | 33 |

* * * * *

Entry 1:
Diffraction record for Ag3PdO6. The powder XRD pattern is calculated, not measured: it uses a DFT-relaxed cell (GGA-PBE, Alexandria) and Cu Kα, 1.54184 Å.
Lines closer than 0.1° are merged.

Cell and atoms:
```
10
Lattice="2.724 1.572 4.995 -2.724 1.572 4.995 0.000 -3.145 4.995" Properties=species:S:1:pos:R:3 pbc="T T T"
Ag 0.000 0.000 0.000
Ag 0.000 0.000 3.014
Ag 0.000 0.000 7.287
Pd 0.000 0.000 10.260
O -0.976 -1.723 6.291
O -1.585 -0.089 8.962
O -1.004 1.707 6.291
O 0.869 -1.328 8.962
O 1.980 0.016 6.291
O 0.715 1.417 8.962
```

Main lines, sorted by position (10° ≤ 2θ ≤ 90°):
2θ (°)	I_rel
22.27	386
30.47	914
32.88	1000
45.44	340
49.52	578
57.22	316
58.72	297
65.34	130



Entry 2:
Diffraction record for BaBeSe. The powder XRD pattern is calculated, not measured: it uses a DFT-relaxed cell (GGA-PBE, Alexandria) and Cu Kα, 1.54184 Å.
Lines closer than 0.1° are merged.

Cell and atoms:
```
3
Lattice="3.957 0.000 0.000 -1.979 3.427 0.000 0.000 0.000 5.210" Properties=species:S:1:pos:R:3 pbc="T T T"
Ba 0.000 0.000 0.000
Be 1.979 1.142 2.549
Se 0.000 2.285 2.613
```

Main lines, sorted by position (10° ≤ 2θ ≤ 90°):
2θ (°)	I_rel
26.00	274
31.24	1000
34.43	175
45.86	231
56.53	181
58.58	222

  10. "it was the very life of Lutheran teaching that Reason is utterly untrustworthy."

    Having grown up and spent most of my adult life in the Lutheran Church, I would amend the above by adding the word "alone" - as in "reason alone is utterly untrustworthy". The difference being that reason must be in service to the Word of God, not apart from it.

  11. "And when we say "human being," we again mean in all dimensions, body, soul, and intellect. You might say that the body is entitled to joy for the same reason the intellect is entitled to truth and the soul to beauty."


  12. I had second thoughts about that sentence, but I just read a line in Chesterton that says "the Mystics can be represented as men who maintain that the final fruition of joy of the soul is rather a sensation than thought."

  13. Hi Bob,
    I understand the body needing joy, but wouldn't the need for joy also apply to the mind and spirit?
    Actually, I don't see how they can be separated, except in the case of the mind experiencing joy but the body not, in the case of a badly ravaged body.

    Or perhaps a body can experience joy even though badly damaged but on a lower level than a healthy person, except in the case of music or art, but not necessarily pure physical joy.

  14. Yes, that was precisely my second thought!

  15. Chesterton even gets into that -- how Francis was all about sensory joy whereas Thomas was about intellectual joys...

  16. Personally, I like both joys, although intellectual joy is perhaps the odds on favorite 'cause that's where humor comes in, the funny bone notwithstanding.

  17. Then there's a joyful heart or soul.
    Looks like the Good Gnews is all pervasive to those who accept it.

    Sure beats the hell outta bitterness.

  18. Off topic, so for the last couple of days, my daughter has been insisting, with tremendous persistence, that she's Gypsy Robot.

    By Leftist logic, I must assume that she is in fact a robot trapped in a girl's body. As she gets older, I'll have to fit her with prosthetic robot appendages in order not to damage the development of her chosen identity. When she is an adult, great efforts will be undertaken to transplant her personality into a mainframe computer. She'll never be a full robot, but there's hope she'll find happiness as an android. It's the best a loving parent could do.

  19. In regards to intellectual joy and sensory joy, Bruce Charlton has an interesting post about it today.

    His take is the sensory joy should come first, because that's what gets people off their asses! :)

  20. Julie, you let MST influence your daughter? Well done! Good parenting is often identified by the humor choices we expose our children to! :o)

    "A merry heart doeth good like a medicine. A broken spirit drieth the bone."

  21. I am in the midst of a crisis of being brought about by Josef Pieper's "Leisure: The Basis of Culture" If there's a more daunting challenge to enter into The Slack, it's here, perhaps.

    It's kicking my ass as I find myself with too many employment options and needing to weigh joy against rent in making any decisions. (Having a dry place to sleep is also rather joyful.) I'm at an age where I won't be offered too many more choices after this one, save that God does something mighty interesting.

  22. Joan, if you've gotta get your butt kicked, there are a lot worse ways to have it done than by Josef Pieper's "Leisure: The Basis of Culture".

    I think technically you can leisurely pursue slack even through an annoying spate of employment... but you have to work at it - this 'coon will kick a can down the road for you.

    Speaking of annoying employment, I'm going to be in our state capital Monday and Tuesday to look at rewriting our schools curriculum standards - how open do you think they'll be to changing their focus from special skills, to slack?

    Selling Slack can be hard work.

  23. I read Orthodoxy. Sometimes I would read one sentence and find that 'my brain was full' (Gary Larson).

    Maybe we need to approach Chesterton with a sense of wonder rather than a demand for knowledge?

  24. Speaking of the pursuit of pleasure, this family takes it pretty seriously:

    I'm so-o-o-o-o tempted to respond.

  25. I think that's an email address. Is there a web page?

  26. Ah, here we go:

    I'm writing my response, even now. :0)

  27. Ha! That looks like a fun and memorable gig. I hope you get it!

  28. Bethanne: I do find something wearying about reading Chesterton. Can't quite put my finger on what it is...

  29. Maybe because he's so "literary," to the point of distraction. In other words, he's too good of a writer...

  30. I prefer my Chesterton distilled down to its golden, high-proof essence.

  31. Maybe that's what it is: he's so quoteworthy, his writing is like a dense but rambling assembly of excellent cracks mixed with a lot of plain rambling.

  32. In quote form, what remains is Davilesque.

  33. As he said: torture your sentences so you don't torture the reader!

  34. Ha - there's a thought, Bob. If you're planning multiple books for the future, one filled with pithy quotes as opposed to full posts might be a handy guide for future raccoons. Didn't Schuon do a book or two that way?

  35. "The Laughorisms of Don Petey"

  36. Yes, Schuon tried to distill it down to the essence in Echoes of Perennial Wisdom.


I cannot talk about anything without talking about everything. --Chesterton

Fundamentally there are only three miracles: existence, life, intelligence; with intelligence, the curve springing from God closes on itself like a ring that in reality has never been parted from the Infinite. --Schuon

The quest, thus, has no external 'object,' but is reality itself becoming luminous for its movement from the ineffable, through the Cosmos, to the ineffable. --Voegelin

A serious and good philosophical work could be written consisting entirely of jokes. --Wittgenstein